Request:
Your job: type out the whole of the entries further down word for word.

Given:
/*
Density functional theory data (GGA-PBE) for a relaxed LaCdTeF2 crystal.

Cell: 4.625 4.625 6.568 Å, 90.00 90.00 90.00°
Space group P4/mmm (No. 123)
Asymmetric unit:
La: 0.000 0.000 0.000 [1 per cell]
Cd: 0.500 0.500 0.500 [1 per cell]
Te: 0.000 0.000 0.500 [1 per cell]
F: 0.000 0.500 0.000 [2 per cell]

Results
DOS(E_F) ... 0.159 states/eV per atom
Final energy ... -4.932 eV/atom
ρ ... 4.9 g/cm3
M_tot ... 0.0 Bohr magnetons per cell
*/

Worked solution:
Density functional theory data (GGA-PBE) for a relaxed LaCdTeF2 crystal.

Cell: 4.625 4.625 6.568 Å, 90.00 90.00 90.00°
Space group P4/mmm (No. 123)
Asymmetric unit:
La: 0.000 0.000 0.000 [1 per cell]
Cd: 0.500 0.500 0.500 [1 per cell]
Te: 0.000 0.000 0.500 [1 per cell]
F: 0.000 0.500 0.000 [2 per cell]

Results
DOS(E_F) ... 0.159 states/eV per atom
Final energy ... -4.932 eV/atom
ρ ... 4.9 g/cm3
M_tot ... 0.0 Bohr magnetons per cell